Structure and calculated powder XRD pattern of SmYNi2B2C2 (a PBE-relaxed structure; Cu Ka).
Lines closer than 0.1° are merged.

Peak list (10 most intense, 15 to 90 degrees two-theta, in order of rising 2θ)
2θ/deg	d_spacing	intensity
27.23	3.275	1000
34.25	2.618	714
35.70	2.515	548
36.95	2.433	909
42.56	2.124	692
50.20	1.817	462
58.04	1.589	263
60.92	1.521	221
62.18	1.493	255
63.11	1.473	392

Atomic structure:
abc: 3.6349 3.6349 7.5461
angles: 90.00 90.00 90.00
Sites, in units of the cell vectors:
Sm: 0.0000 0.0000 0.0000
Y: 0.5000 0.5000 0.3376
Ni: 0.0000 0.5000 0.6686
Ni: 0.5000 0.0000 0.6686
B: 0.0000 0.0000 0.5284
B: 0.5000 0.5000 0.8137
C: 0.0000 0.0000 0.3307
C: 0.5000 0.5000 0.0120

=====

Structure and calculated powder XRD pattern of NdHoZn2Pb2 (a PBE-relaxed structure; Cu Ka).
Lines closer than 0.1° are merged.

Peak list (10 most intense, 15 to 90 degrees two-theta, in order of rising 2θ)
2θ/deg	d_spacing	intensity
27.73	3.217	447
31.47	2.843	1000
38.78	2.322	737
45.47	1.995	268
50.77	1.798	300
60.97	1.520	151
61.26	1.513	119
65.66	1.422	261
70.20	1.341	136
74.91	1.268	116

Atomic structure:
abc: 4.6444 4.6444 16.0774
angles: 90.00 90.00 120.00
Sites, in units of the cell vectors:
Nd: 0.0000 0.0000 0.2500
Nd: 0.0000 0.0000 0.7500
Ho: 0.0000 0.0000 0.0000
Ho: 0.0000 0.0000 0.5000
Zn: 0.3333 0.6667 0.1607
Zn: 0.3333 0.6667 0.3393
Zn: 0.6667 0.3333 0.6607
Zn: 0.6667 0.3333 0.8393
Pb: 0.3333 0.6667 0.6069
Pb: 0.3333 0.6667 0.8931
Pb: 0.6667 0.3333 0.1069
Pb: 0.6667 0.3333 0.3931

=====

Structure and calculated powder XRD pattern of BeInHg2 (a PBE-relaxed structure; Cu Ka).
Lines closer than 0.1° are merged.

Peak list (10 most intense, 15 to 90 degrees two-theta, in order of rising 2θ)
2θ/deg	d_spacing	intensity
21.80	4.077	369
35.97	2.497	1000
42.46	2.129	209
51.79	1.765	177
56.83	1.620	91
64.67	1.441	365
69.12	1.359	69
76.28	1.248	115
80.46	1.194	70
87.33	1.117	170

Atomic structure:
abc: 4.9932 4.9932 4.9932
angles: 60.00 60.00 60.00
Sites, in units of the cell vectors:
Be: 0.0000 0.0000 0.0000
In: 0.7500 0.7500 0.7500
Hg: 0.2500 0.2500 0.2500
Hg: 0.5000 0.5000 0.5000

=====

Structure and calculated powder XRD pattern of DyErGe2Os (a PBE-relaxed structure; Cu Ka).
Lines closer than 0.1° are merged.

Peak list (10 most intense, 15 to 90 degrees two-theta, in order of rising 2θ)
2θ/deg	d_spacing	intensity
27.28	3.270	201
32.76	2.734	235
33.30	2.691	1000
33.49	2.676	222
34.19	2.623	221
36.82	2.441	556
40.43	2.231	720
42.10	2.146	443
59.85	1.545	257
64.59	1.443	207

Atomic structure:
abc: 5.7767 5.7767 10.0918
angles: 115.84 115.84 43.62
Sites, in units of the cell vectors:
Dy: 0.1843 0.1843 0.1150
Dy: 0.8157 0.8157 0.8850
Er: 0.0038 0.0038 0.6744
Er: 0.9962 0.9962 0.3256
Ge: 0.3583 0.3583 0.4388
Ge: 0.4870 0.4870 0.1249
Ge: 0.5130 0.5130 0.8751
Ge: 0.6417 0.6417 0.5612
Os: 0.2702 0.2702 0.6319
Os: 0.7298 0.7298 0.3681

=====

Structure and calculated powder XRD pattern of RbInRe (a PBE-relaxed structure; Cu Ka).
Lines closer than 0.1° are merged.

Peak list (10 most intense, 15 to 90 degrees two-theta, in order of rising 2θ)
2θ/deg	d_spacing	intensity
21.07	4.216	359
24.38	3.651	193
34.75	2.582	1000
41.00	2.202	196
49.96	1.825	177
54.80	1.675	84
56.35	1.633	81
62.29	1.490	364
73.35	1.291	113
83.79	1.155	161

Atomic structure:
abc: 5.1631 5.1631 5.1631
angles: 60.00 60.00 60.00
Sites, in units of the cell vectors:
Rb: 0.0000 0.0000 0.0000
In: 0.2500 0.2500 0.2500
Re: 0.5000 0.5000 0.5000

=====

Structure and calculated powder XRD pattern of KSm2CuS6 (a PBE-relaxed structure; Cu Ka).
Lines closer than 0.1° are merged.

Peak list (10 most intense, 15 to 90 degrees two-theta, in order of rising 2θ)
2θ/deg	d_spacing	intensity
20.66	4.299	795
27.43	3.252	309
28.71	3.110	629
30.36	2.944	1000
33.17	2.701	341
34.26	2.618	326
37.51	2.398	762
42.04	2.149	363
43.95	2.060	599
44.50	2.036	331

Atomic structure:
abc: 21.9750 21.6866 6.7642
angles: 83.51 78.68 17.81
Sites, in units of the cell vectors:
K: 0.1243 0.6257 0.1243

It remains to find the line further above that holds "0.0000 0.7500", then retype that line and all lines after it there.

Nd: 0.0000 0.0000 0.7500
Ho: 0.0000 0.0000 0.0000
Ho: 0.0000 0.0000 0.5000
Zn: 0.3333 0.6667 0.1607
Zn: 0.3333 0.6667 0.3393
Zn: 0.6667 0.3333 0.6607
Zn: 0.6667 0.3333 0.8393
Pb: 0.3333 0.6667 0.6069
Pb: 0.3333 0.6667 0.8931
Pb: 0.6667 0.3333 0.1069
Pb: 0.6667 0.3333 0.3931

=====

Structure and calculated powder XRD pattern of BeInHg2 (a PBE-relaxed structure; Cu Ka).
Lines closer than 0.1° are merged.

Peak list (10 most intense, 15 to 90 degrees two-theta, in order of rising 2θ)
2θ/deg	d_spacing	intensity
21.80	4.077	369
35.97	2.497	1000
42.46	2.129	209
51.79	1.765	177
56.83	1.620	91
64.67	1.441	365
69.12	1.359	69
76.28	1.248	115
80.46	1.194	70
87.33	1.117	170

Atomic structure:
abc: 4.9932 4.9932 4.9932
angles: 60.00 60.00 60.00
Sites, in units of the cell vectors:
Be: 0.0000 0.0000 0.0000
In: 0.7500 0.7500 0.7500
Hg: 0.2500 0.2500 0.2500
Hg: 0.5000 0.5000 0.5000

=====

Structure and calculated powder XRD pattern of DyErGe2Os (a PBE-relaxed structure; Cu Ka).
Lines closer than 0.1° are merged.

Peak list (10 most intense, 15 to 90 degrees two-theta, in order of rising 2θ)
2θ/deg	d_spacing	intensity
27.28	3.270	201
32.76	2.734	235
33.30	2.691	1000
33.49	2.676	222
34.19	2.623	221
36.82	2.441	556
40.43	2.231	720
42.10	2.146	443
59.85	1.545	257
64.59	1.443	207

Atomic structure:
abc: 5.7767 5.7767 10.0918
angles: 115.84 115.84 43.62
Sites, in units of the cell vectors:
Dy: 0.1843 0.1843 0.1150
Dy: 0.8157 0.8157 0.8850
Er: 0.0038 0.0038 0.6744
Er: 0.9962 0.9962 0.3256
Ge: 0.3583 0.3583 0.4388
Ge: 0.4870 0.4870 0.1249
Ge: 0.5130 0.5130 0.8751
Ge: 0.6417 0.6417 0.5612
Os: 0.2702 0.2702 0.6319
Os: 0.7298 0.7298 0.3681

=====

Structure and calculated powder XRD pattern of RbInRe (a PBE-relaxed structure; Cu Ka).
Lines closer than 0.1° are merged.

Peak list (10 most intense, 15 to 90 degrees two-theta, in order of rising 2θ)
2θ/deg	d_spacing	intensity
21.07	4.216	359
24.38	3.651	193
34.75	2.582	1000
41.00	2.202	196
49.96	1.825	177
54.80	1.675	84
56.35	1.633	81
62.29	1.490	364
73.35	1.291	113
83.79	1.155	161

Atomic structure:
abc: 5.1631 5.1631 5.1631
angles: 60.00 60.00 60.00
Sites, in units of the cell vectors:
Rb: 0.0000 0.0000 0.0000
In: 0.2500 0.2500 0.2500
Re: 0.5000 0.5000 0.5000

=====

Structure and calculated powder XRD pattern of KSm2CuS6 (a PBE-relaxed structure; Cu Ka).
Lines closer than 0.1° are merged.

Peak list (10 most intense, 15 to 90 degrees two-theta, in order of rising 2θ)
2θ/deg	d_spacing	intensity
20.66	4.299	795
27.43	3.252	309
28.71	3.110	629
30.36	2.944	1000
33.17	2.701	341
34.26	2.618	326
37.51	2.398	762
42.04	2.149	363
43.95	2.060	599
44.50	2.036	331

Atomic structure:
abc: 21.9750 21.6866 6.7642
angles: 83.51 78.68 17.81
Sites, in units of the cell vectors:
K: 0.1243 0.6257 0.1243